This 2-year resident program is ideal for a student who is intent on becoming a Scenic Artist or for Design Students or Designers that want to become proficient scenic painters. This program offers the balance of technical skill-building, classwork and valuable portfolio-building apprenticeship-style training.

Cobalt Studios is known throughout the industry for sending productive and skillful graduates into the workforce as professional Scenic Artists.


The 2-year program starts every other year and runs September to May.
The current class began in September 2023 and will graduate in May of 2025.

We are currently accepting applications for the Class of 2027 which will begin September 2025.

Enrollment is limited to 8 students


Rachel Keebler & many Guest Instructors


Application Fee: $150.00*

*This application fee is non-refundable and is NOT included in the tuition for this program.

Annual Tuition + Room & Board = $12,255.00

**Inserted here: calculated crystals:**
=====
# CrCdF6 (GGA+U, relaxed)
data_CrCdF6
_cell_length_a 5.3059
_cell_length_b 5.3059
_cell_length_c 14.3337
_cell_angle_alpha 90.00
_cell_angle_beta 90.00
_cell_angle_gamma 120.00
_symmetry_space_group_name_H-M 'R -3'
_symmetry_Int_Tables_number 148
_symmetry_space_group_name_Hall '-R 3'
loop_
_atom_site_label
_atom_site_type_symbol
_atom_site_fract_x
_atom_site_fract_y
_atom_site_fract_z
Cr1 Cr 0.0000 0.0000 0.0000
Cd1 Cd 0.0000 0.0000 0.5000
F1 F 0.0154 0.7222 0.0755
# Total DFT energy (no corrections)   -4.774 eV per atom
# ΔE_f   -60.24 kcal/mol of atoms
# V   14.6 A^3/atom


This record from the Materials Project describes a geometry-optimized Hg3SO6 structure. The functional is PBE-GGA.

Computed properties:
Energy (eV per cell): -127.530
Calculated volume (Å³ per atom): 15.7
ΔE_f (eV per atom): -1.19

```
data_Hg3SO6
_chemical_formula_sum 'Hg9 S3 O18'
_cell_length_a 7.1763
_cell_length_b 7.1763
_cell_length_c 10.5683
_cell_angle_alpha 90.00
_cell_angle_beta 90.00
_cell_angle_gamma 120.00
_symmetry_space_group_name_H-M 'P 31'
_symmetry_Int_Tables_number 144
_symmetry_space_group_name_Hall 'P 31'
loop_
_atom_site_label
_atom_site_type_symbol
_atom_site_fract_x
_atom_site_fract_y
_atom_site_fract_z
Hg1 Hg 0.0241 0.1683 0.0000
Hg2 Hg 0.0376 0.6705 0.9915
Hg3 Hg 0.5254 0.1710 0.9749
S1 S 0.1112 0.4313 0.6508
O1 O 0.0014 0.1859 0.2731
O2 O 0.0253 0.2578 0.7499
O3 O 0.1366 0.7181 0.2427
O4 O 0.1975 0.6444 0.7133
O5 O 0.4587 0.0685 0.2280
O6 O 0.4828 0.1427 0.7032
```



This record from the Materials Project describes a geometry-optimized Ba3SiO structure. The functional is PBE-GGA.

Computed properties:
ΔE to the lowest computed polymorph (eV/atom): 0.0000
Energy (eV per cell): -88.393
Calculated volume (Å³ per atom): 32.0
ΔE_f (eV per atom): -1.33

```
data_Ba3SiO
_chemical_formula_sum 'Ba12 Si4 O4'
_cell_length_a 7.822
_cell_length_b 10.864
_cell_length_c 7.537
_cell_angle_alpha 90.00
_cell_angle_beta 90.00
_cell_angle_gamma 90.00
_symmetry_space_group_name_H-M 'P n m a'
_symmetry_Int_Tables_number 62
_symmetry_space_group_name_Hall '-P 2ac 2n'
loop_
_atom_site_label
_atom_site_type_symbol
_atom_site_fract_x
_atom_site_fract_y
_atom_site_fract_z
Ba1 Ba 0.020 0.250 0.080
Ba2 Ba 0.201 0.042 0.704
Si1 Si 0.053 0.750 0.483
O1 O 0.000 0.000 0.000
```



This record from the Materials Project describes a geometry-optimized NdMgRh structure. The functional is PBE-GGA.

Computed properties:
Energy (eV per cell): -62.077
Calculated volume (Å³ per atom): 22.1
ΔE_f (eV per atom): -0.60

```
data_NdMgRh
_chemical_formula_sum 'Nd4 Mg4 Rh4'
_cell_length_a 7.264
_cell_length_b 4.189
_cell_length_c 8.705
_cell_angle_alpha 90.00
_cell_angle_beta 90.00
_cell_angle_gamma 90.00
_symmetry_space_group_name_H-M 'P n m a'
_symmetry_Int_Tables_number 62
_symmetry_space_group_name_Hall '-P 2ac 2n'
loop_
_atom_site_label
_atom_site_type_symbol
_atom_site_fract_x
_atom_site_fract_y
_atom_site_fract_z
Nd1 Nd 0.038 0.250 0.179
Mg1 Mg 0.135 0.250 0.558
=====

For more information on costs and deadlines, see the Student Information document at the bottom of this page.


Rolling Admission. It’s never too early to apply for this program!


While a basic familiarity with Theatre and Art is necessary, applicants need not have an extensive background in either. Admission is based on applicant’s career objectives, abilities, references, and their foreseeable potential in professional theatre rather than in the customary academic standards, although applicants must be high school graduates or have an equivalent certification.

Cobalt Studios maintains a racially and sexually non-discriminating policy and a willingness to accommodate accessibility needs within the realistic physical expectations of our industry.


The application consists of a $150.00 fee, the application form, 3 references (2 personal & 1 professional), school transcripts or GED certificate, and an overnight interview / portfolio review.

Call the office at : (845) 583-7025 or email mail@cobaltstudios.net to ask for an application.

These materials data were left in the entry by mistake:
____________
1.
! UPt3 | the Materials Project | r²SCAN | relaxed; values from VASP
&SYSTEM
  ibrav = 0, nat = 8, ntyp = 2
/
ATOMIC_SPECIES
U 238.03 U.upf
Pt 195.08 Pt.upf
ATOMIC_POSITIONS angstrom
U 0.000 3.348 1.226
U 2.899 1.674 3.678
Pt 0.000 1.632 3.678
Pt -1.486 4.206 3.678
Pt 1.414 0.816 1.226
Pt 1.486 4.206 3.678
Pt 4.385 0.816 1.226
Pt 2.899 3.389 1.226
CELL_PARAMETERS angstrom
5.799 0.000 0.000
-2.899 5.022 0.000
0.000 0.000 4.904
! * ρ: 19.14 g cm⁻³
! * DFT formation energy: -911 meV per atom


2.
! CeNiSn | the Materials Project | r²SCAN | relaxed; values from VASP
&SYSTEM
  ibrav = 0, nat = 12, ntyp = 3
/
ATOMIC_SPECIES
Ce 140.12 Ce.upf
Ni 58.69 Ni.upf
Sn 118.71 Sn.upf
ATOMIC_POSITIONS angstrom
Ce 0.169 1.152 1.457
Ce 3.595 3.455 5.200
Ce 3.933 1.152 2.285
Ce 7.358 3.455 6.028
Ni 1.454 3.455 3.152
Ni 2.309 1.152 6.894
Ni 5.218 3.455 0.591
Ni 6.073 1.152 4.334
Sn 1.363 1.152 4.437
Sn 2.400 3.455 0.695
Sn 5.127 1.152 6.791
Sn 6.164 3.455 3.048
CELL_PARAMETERS angstrom
7.527 0.000 0.000
0.000 4.606 0.000
0.000 0.000 7.485
! * ρ: 8.13 g cm⁻³
! * DFT formation energy: -629 meV per atom

=====

{
  "formula": "TiNi",
  "functional": "GGA-PBE",
  "state": "optimized geometry",
  "lattice": [[2.7999, 0.0000, 0.0000], [-0.0013, 4.1711, 0.0000], [-0.4519, -0.0091, 4.6491]],
  "species": ["Ti", "Ti", "Ni", "Ni"],
  "fractional_positions": [[0.0646, 0.2496, 0.2883], [0.9354, 0.7504, 0.7117], [0.4790, 0.2505, 0.8220], [0.5210, 0.7495, 0.1780]],
  "formation_energy_mev_per_atom": -385.8,
  "vol_a3_per_atom": 13.574,
  "total_energy_ev_per_atom": -7.224,
  "rho_kg_m3": 6518,
  "spacegroup": "No. 2"
}



{
  "formula": "TiNi",
  "functional": "GGA-PBE",
  "state": "optimized geometry",
  "lattice": [[2.9932, 0.0000, 0.0000], [0.0000, 2.9932, 0.0000], [0.0000, 0.0000, 2.9932]],
  "species": ["Ti", "Ni"],
  "fractional_positions": [[0.0000, 0.0000, 0.0000], [0.5000, 0.5000, 0.5000]],
  "formation_energy_mev_per_atom": -347.4,
  "vol_a3_per_atom": 13.409,
  "total_energy_ev_per_atom": -7.185,
  "rho_kg_m3": 6598,
  "spacegroup": "No. 221"
}



{
  "formula": "TiNi",
  "functional": "GGA-PBE",
  "state": "optimized geometry",
  "lattice": [[2.7398, 0.0000, 0.0000], [0.4056, 4.6728, 0.0000], [0.0212, -0.0005, 12.7930]],
  "species": ["Ti", "Ti", "Ti", "Ti", "Ti", "Ti", "Ni", "Ni", "Ni", "Ni", "Ni", "Ni"],
  "fractional_positions": [[0.0210, 0.2242, 0.2512], [0.0779, 0.2027, 0.9176], [0.0937, 0.1949, 0.5851], [0.9063, 0.8051, 0.4149], [0.9221, 0.7973, 0.0824], [0.9790, 0.7758, 0.7488], [0.4462, 0.6893, 0.2476], [0.4884, 0.3339, 0.4177], [0.4928, 0.3272, 0.0848], [0.5072, 0.6728, 0.9152], [0.5116, 0.6661, 0.5823], [0.5538, 0.3107, 0.7524]],
  "formation_energy_mev_per_atom": -376.9,
  "vol_a3_per_atom": 13.649,
  "total_energy_ev_per_atom": -7.215,
  "rho_kg_m3": 6482,
  "spacegroup": "No. 2"
}



Question: Number 2 is which compound?
Answer: TiNi



Question: Which formula does entry 2 have?
Answer: TiNi



Question: Which formula does entry 1 have?
Answer: TiNi
____________


Upon acceptance, registration is completed by payment of tuition, fees, and deposits. Student Information document at the bottom of this page for pricing and deadlines.


Coursework and training is generally 7-8 hours a da, Monday through Friday. Most evenings and weekends are unscheduled. There is plenty to explore in the local area and NYC is an easy 2 hour car or bus-ride away.

The training at Cobalt is a combination of traditional apprenticeship systems and coursework. Each student’s proficiency is assessed at the beginning of the program and the curriculum is adjusted to maximize the learning experience. Students work directly with highly experienced scenic artists, either our resident staff or the industry professionals who teach our Specialty Pro Seminars.

Rachel Keebler, Master Scenic Artist and the school’s co-founder is the primary instructor for the academic year, teaching alongside Terra Writz, a graduate of the SATP program and successor to Rachel as she moves toward retirement. During the year, the students participate in the Specialty Pro Seminars that Cobalt offers to the public. These seminars offer the SATP student the unique opportunity to not only study a specialized craft from industry pros, but to work alongside other scenic artists from around the country that are enrolled in the seminars with them.

Upon completion of the 2 year program, a student will be: well versed in the technology of paint, well-practiced in layout and paint application techniques, and well aware of the management skills and attitudes necessary to successfully complete a professional job.

Students are taught techniques by example and then they execute them first on their own individual projects and then by working as scenic artist trainees on Cobalt’s commissioned projects. Students work directly on drops that will be used in legitimate theatre productions. This work may be added to their individual portfolios.

Graduates leave this program with confidence, knowledge, skills, quality craftsmanship, and a portfolio that can propel them into a self-sustaining scenic painting career.

For more info check out The Cobalt Experience

Cobalt Studios 2024 – 2025 Academic Calendar

Scenic Artists Training Program Student Information